(Excerpt)
+++
Entry from Alexandria via LeMat-Bulk: a relaxed structure of Nd4YPu3S8 (PBE-GGA).

Cell and atoms, written as POSCAR:
```
Nd4YPu3S8
1.0
7.9916 0.0000 0.0000
0.0000 8.0357 0.0253
-3.9958 -3.9917 5.6538
Nd Y Pu S
4 1 3 8
Direct
0.5000 0.0000 0.0000
0.5000 0.0000 0.5000
0.0000 0.0000 0.0000
0.0000 0.0000 0.5000
0.0000 0.5000 0.0000
0.5000 0.5000 0.0000
0.5000 0.5000 0.5000
0.0000 0.5000 0.5000
0.2457 0.7388 0.9931
0.2457 0.7388 0.4914
0.2538 0.2613 0.5075
0.7474 0.7388 0.9931
0.2526 0.2612 0.0069
0.7462 0.7387 0.4925
0.7543 0.2612 0.5086
0.7543 0.2612 0.0069
```

- Total energy: -132.65 eV/cell
- Size of the total moment: 16.8 μB/f.u.
- Formation energy (no corrections): -1.94 eV/atom
- Crystal system: trigonal

* * * * *

Sc3Pt | meta-GGA SCAN | PBEsol geometry Values from VASP.

Results
Size of the total moment = 0.88 μB/cell
Symmetry = P-6m2 (187)
Calculated formation energy = -57.5 kJ per mole of atoms

The structure in Quantum ESPRESSO input format:
```
&SYSTEM
  ibrav = 0, nat = 4, ntyp = 2
/
ATOMIC_SPECIES
Sc 44.96 Sc.upf
Pt 195.08 Pt.upf
CELL_PARAMETERS angstrom
-1.585 0.743 2.963
-1.804 -1.258 -2.648
1.481 -8.029 2.807
ATOMIC_POSITIONS crystal
Sc 0.667 0.333 0.204
Sc 0.000 0.000 0.500
Pt 0.000 0.000 0.000
Sc 0.667 0.333 0.796
```

---

CdHg | meta-GGA SCAN | PBEsol geometry Values from VASP.

Results
Size of the total moment = 0.00 μB/cell
Symmetry = P6_3/mmc (194)
Calculated formation energy = 0.2 kJ per mole of atoms

The structure in Quantum ESPRESSO input format:
```
&SYSTEM
  ibrav = 0, nat = 4, ntyp = 2
/
ATOMIC_SPECIES
Cd 112.41 Cd.upf
Hg 200.59 Hg.upf
CELL_PARAMETERS angstrom
4.380 0.000 0.000
-2.190 3.794 0.000
0.000 0.000 5.883
ATOMIC_POSITIONS crystal
Cd 0.000 0.000 0.000
Hg 0.667 0.333 0.750
Hg 0.333 0.667 0.250
Cd 0.000 0.000 0.500
```

---

HfFeF6 | meta-GGA SCAN | PBEsol geometry Values from VASP.

Results
Size of the total moment = 4.00 μB/cell
Symmetry = Fm-3m (225)
E_form (uncorrected) = -3330 meV/atom

The structure in Quantum ESPRESSO input format:
```
&SYSTEM
  ibrav = 0, nat = 8, ntyp = 3
/
ATOMIC_SPECIES
F 19.00 F.upf
Hf 178.49 Hf.upf
Fe 55.84 Fe.upf
CELL_PARAMETERS angstrom
5.692 -0.018 -0.025
-2.831 4.938 0.025
-2.831 -1.646 4.656
ATOMIC_POSITIONS crystal
F 0.000 0.253 0.747
F 0.000 0.747 0.747
F 0.000 0.253 0.253
Hf 0.000 0.500 0.500
F 0.000 0.747 0.253
Fe 0.000 0.000 0.000
F 0.506 0.253 0.253
F 0.494 0.747 0.747
```

---

Hg2GePAu | meta-GGA SCAN | PBEsol geometry Values from VASP.

Results
Size of the total moment = 0.00 μB/cell
Symmetry = P4/mmm (123)
Calculated formation energy = 57.0 kJ per mole of atoms

The structure in Quantum ESPRESSO input format:
```
&SYSTEM
  ibrav = 0, nat = 5, ntyp = 4
/
ATOMIC_SPECIES
Ge 72.64 Ge.upf
P 30.97 P.upf
Au 196.97 Au.upf
Hg 200.59 Hg.upf
CELL_PARAMETERS angstrom
4.621 0.000 0.000
0.000 5.061 0.000
0.000 0.000 5.061
ATOMIC_POSITIONS crystal
Ge 0.500 0.500 0.500
P 0.000 0.000 0.000
Au 0.500 0.000 0.000
Hg 0.000 0.000 0.500
Hg 0.000 0.500 0.000
```

---

BeSbTe2 | meta-GGA SCAN | PBEsol geometry Values from VASP.

Results
Size of the total moment = 0.00 μB/cell
Distance to the lowest polymorph of the same formula = 0.00 kcal/mol of atoms
Symmetry = C2/m (12)
E_form (uncorrected) = 104 meV/atom

The structure in Quantum ESPRESSO input format:
```
&SYSTEM
  ibrav = 0, nat = 4, ntyp = 3
/
ATOMIC_SPECIES
Te 127.60 Te.upf
Be 9.01 Be.upf
Sb 121.76 Sb.upf
CELL_PARAMETERS angstrom
3.889 0.000 0.000
1.945 3.378 0.001
1.945 1.123 7.215
ATOMIC_POSITIONS crystal
Te 0.270 0.765 0.696
Te 0.730 0.235 0.304
Be 0.000 0.500 0.500
Sb 0.500 0.000 0.000
```

---

CsNdHgSe3 | meta-GGA SCAN | PBEsol geometry Values from VASP.

Results
Size of the total moment = 0.00 μB/cell
Symmetry = Cmcm (63)
E_form (uncorrected) = -1426 meV/atom

The structure in Quantum ESPRESSO input format:
```
&SYSTEM
  ibrav = 0, nat = 12, ntyp = 4
/
ATOMIC_SPECIES
Hg 200.59 Hg.upf
Cs 132.91 Cs.upf
Se 78.96 Se.upf
Nd 144.24 Nd.upf
CELL_PARAMETERS angstrom
-1.237 3.830 -1.528
-6.908 -4.364 0.715
+++

(Request)
Echo only the last part of the listing further above, starting with the line that has "0.7474 0.7388".

(Completed)
0.7474 0.7388 0.9931
0.2526 0.2612 0.0069
0.7462 0.7387 0.4925
0.7543 0.2612 0.5086
0.7543 0.2612 0.0069
```

- Total energy: -132.65 eV/cell
- Size of the total moment: 16.8 μB/f.u.
- Formation energy (no corrections): -1.94 eV/atom
- Crystal system: trigonal

* * * * *

Sc3Pt | meta-GGA SCAN | PBEsol geometry Values from VASP.

Results
Size of the total moment = 0.88 μB/cell
Symmetry = P-6m2 (187)
Calculated formation energy = -57.5 kJ per mole of atoms

The structure in Quantum ESPRESSO input format:
```
&SYSTEM
  ibrav = 0, nat = 4, ntyp = 2
/
ATOMIC_SPECIES
Sc 44.96 Sc.upf
Pt 195.08 Pt.upf
CELL_PARAMETERS angstrom
-1.585 0.743 2.963
-1.804 -1.258 -2.648
1.481 -8.029 2.807
ATOMIC_POSITIONS crystal
Sc 0.667 0.333 0.204
Sc 0.000 0.000 0.500
Pt 0.000 0.000 0.000
Sc 0.667 0.333 0.796
```

---

CdHg | meta-GGA SCAN | PBEsol geometry Values from VASP.

Results
Size of the total moment = 0.00 μB/cell
Symmetry = P6_3/mmc (194)
Calculated formation energy = 0.2 kJ per mole of atoms

The structure in Quantum ESPRESSO input format:
```
&SYSTEM
  ibrav = 0, nat = 4, ntyp = 2
/
ATOMIC_SPECIES
Cd 112.41 Cd.upf
Hg 200.59 Hg.upf
CELL_PARAMETERS angstrom
4.380 0.000 0.000
-2.190 3.794 0.000
0.000 0.000 5.883
ATOMIC_POSITIONS crystal
Cd 0.000 0.000 0.000
Hg 0.667 0.333 0.750
Hg 0.333 0.667 0.250
Cd 0.000 0.000 0.500
```

---

HfFeF6 | meta-GGA SCAN | PBEsol geometry Values from VASP.

Results
Size of the total moment = 4.00 μB/cell
Symmetry = Fm-3m (225)
E_form (uncorrected) = -3330 meV/atom

The structure in Quantum ESPRESSO input format:
```
&SYSTEM
  ibrav = 0, nat = 8, ntyp = 3
/
ATOMIC_SPECIES
F 19.00 F.upf
Hf 178.49 Hf.upf
Fe 55.84 Fe.upf
CELL_PARAMETERS angstrom
5.692 -0.018 -0.025
-2.831 4.938 0.025
-2.831 -1.646 4.656
ATOMIC_POSITIONS crystal
F 0.000 0.253 0.747
F 0.000 0.747 0.747
F 0.000 0.253 0.253
Hf 0.000 0.500 0.500
F 0.000 0.747 0.253
Fe 0.000 0.000 0.000
F 0.506 0.253 0.253
F 0.494 0.747 0.747
```

---

Hg2GePAu | meta-GGA SCAN | PBEsol geometry Values from VASP.

Results
Size of the total moment = 0.00 μB/cell
Symmetry = P4/mmm (123)
Calculated formation energy = 57.0 kJ per mole of atoms

The structure in Quantum ESPRESSO input format:
```
&SYSTEM
  ibrav = 0, nat = 5, ntyp = 4
/
ATOMIC_SPECIES
Ge 72.64 Ge.upf
P 30.97 P.upf
Au 196.97 Au.upf
Hg 200.59 Hg.upf
CELL_PARAMETERS angstrom
4.621 0.000 0.000
0.000 5.061 0.000
0.000 0.000 5.061
ATOMIC_POSITIONS crystal
Ge 0.500 0.500 0.500
P 0.000 0.000 0.000
Au 0.500 0.000 0.000
Hg 0.000 0.000 0.500
Hg 0.000 0.500 0.000
```

---

BeSbTe2 | meta-GGA SCAN | PBEsol geometry Values from VASP.

Results
Size of the total moment = 0.00 μB/cell
Distance to the lowest polymorph of the same formula = 0.00 kcal/mol of atoms
Symmetry = C2/m (12)
E_form (uncorrected) = 104 meV/atom

The structure in Quantum ESPRESSO input format:
```
&SYSTEM
  ibrav = 0, nat = 4, ntyp = 3
/
ATOMIC_SPECIES
Te 127.60 Te.upf
Be 9.01 Be.upf
Sb 121.76 Sb.upf
CELL_PARAMETERS angstrom
3.889 0.000 0.000
1.945 3.378 0.001
1.945 1.123 7.215
ATOMIC_POSITIONS crystal
Te 0.270 0.765 0.696
Te 0.730 0.235 0.304
Be 0.000 0.500 0.500
Sb 0.500 0.000 0.000
```

---

CsNdHgSe3 | meta-GGA SCAN | PBEsol geometry Values from VASP.

Results
Size of the total moment = 0.00 μB/cell
Symmetry = Cmcm (63)
E_form (uncorrected) = -1426 meV/atom

The structure in Quantum ESPRESSO input format:
```
&SYSTEM
  ibrav = 0, nat = 12, ntyp = 4
/
ATOMIC_SPECIES
Hg 200.59 Hg.upf
Cs 132.91 Cs.upf
Se 78.96 Se.upf
Nd 144.24 Nd.upf
CELL_PARAMETERS angstrom
-1.237 3.830 -1.528
-6.908 -4.364 0.715